View Full Version : levaling an Intelligent Item

2013-11-27, 05:45 PM
So I plan on giving one of my characters an intelligent weapon. I would like said weapon to get stronger as he gets stronger. I will give him this weapon at level 4 or 5 and the Idea is that with every new wielder the weapon creates a bond and as it drinks in more human souls it will grow stronger. the base weapon is as follows.

+1 human bane Rapier CN Intelligent rapier

int 12
wis 10
cha 12

Death watch.

Ego I think is 7

in the campaign I am running humans are the main enemy. There is an army of humans across the sea killing any non humans , as well as any humans who don't convert to the worship of their god Kalandor (god of my own creation.)

so how should I handle the leveling this Item, How fast should I level it ect ect...

2013-11-27, 05:53 PM
Take a look at the book Weapons of Legacy for inspiration. It's basically exactly what you want - items that gain powers as their wielder gets stronger. Consider also the feat Ancestral Relic, which lets a character sacrifice wealth to improve one of their items.

2013-11-27, 05:55 PM
Level it up enough that the character always can have a better weapon, but is never likely to spend enough money to do so. So, say, it's worth about half to three quarters of their WBL.

This does have the problem that, well, it's worth half to three quarters of their WBL, massively increasing their wealth, but there's not much you can do about that, and anyone seriously using a sword could do with a little helping hand anyway.

2013-11-27, 05:57 PM
Take a look at the book Weapons of Legacy for inspiration. It's basically exactly what you want - items that gain powers as their wielder gets stronger. Consider also the feat Ancestral Relic, which lets a character sacrifice wealth to improve one of their items.

I will take a look at weapons of legacy but this is something I am giving the party member but may use against him later so I won't get him to burn a feat or sacrifice anything else.

2013-11-27, 06:05 PM
If something is intelligent, it can take class levels (I remember reading a lantern where the intelligent version has levels of rogue by default). Just give it XP like any other party member. That swords lack of movement makes most classes problematic, but it could do psionics (at limited effectiveness given its mediocre stats), or spellcasting with carefully chosen spells. Warmage seems good stat-wise (int and cha based)and thematically.

2013-11-27, 06:13 PM
If something is intelligent, it can take class levels (I remember reading a lantern where the intelligent version has levels of rogue by default). Just give it XP like any other party member. That swords lack of movement makes most classes problematic, but it could do psionics (at limited effectiveness given its mediocre stats), or spellcasting with carefully chosen spells. Warmage seems good stat-wise (int and cha based)and thematically.

not really what I am thinking. I was planing on having the weapon both grow as an intelligent weapon and with its magical item bonus.

2013-11-27, 06:14 PM
If something is intelligent, it can take class levels (I remember reading a lantern where the intelligent version has levels of rogue by default). Just give it XP like any other party member. That swords lack of movement makes most classes problematic, but it could do psionics (at limited effectiveness given its mediocre stats), or spellcasting with carefully chosen spells. Warmage seems good stat-wise (int and cha based)and thematically.

You can give an Intelligent Magic Item a body by either a) making it a melee weapon and giving it the Flying weapon enhancement from Magic of Faerun. This makes it into an Animated Object, and if it's an Intelligent weapon then it's an Intelligent Animated Object.

Or b) Hand it to a mindless minion, it's Ego will easily overpower a creature without a mind thereby allowing the Intelligent Magic Item to have a body by proxy.

I will take a look at weapons of legacy but this is something I am giving the party member but may use against him later so I won't get him to burn a feat or sacrifice anything else.

In the Arms and Equipment Guide there's a sidebar about putting feats in Magic Items.
Using that you could just put the requisite feats into the Intelligent Item.
Costs 10,000 gp per feat plus 5,000gp per the feat's prerequisites.

Calculated crystals, kept here for reference:
~~~
1.
This record from Alexandria via LeMat-Bulk describes a relaxed structure of Pr3Tl3Hg2. The functional is PBE-GGA.

Geometry as CIF:
```
data_Pr3Tl3Hg2
_chemical_formula_sum 'Pr3 Tl3 Hg2'
_cell_length_a 8.4433
_cell_length_b 8.4433
_cell_length_c 3.8127
_cell_angle_alpha 90.00
_cell_angle_beta 90.00
_cell_angle_gamma 120.00
_symmetry_space_group_name_H-M 'P -6 2 m'
_symmetry_Int_Tables_number 189
_symmetry_space_group_name_Hall 'P -6 -2'
loop_
_atom_site_label
_atom_site_type_symbol
_atom_site_fract_x
_atom_site_fract_y
_atom_site_fract_z
_atom_site_occupancy
Pr1 Pr 0.0000 0.3831 0.0000 1
Tl1 Tl 0.0000 0.7599 0.5000 1
Hg1 Hg 0.3333 0.6667 0.5000 1
```

***

2.
This record from Alexandria via LeMat-Bulk describes a relaxed structure of Pr3Tl3Hg2. The functional is PBE-GGA.

Geometry as CIF:
```
data_Pr3Tl3Hg2
_chemical_formula_sum 'Pr6 Tl6 Hg4'
_cell_length_a 19.3897
_cell_length_b 4.7382
_cell_length_c 5.1645
_cell_angle_alpha 90.00
_cell_angle_beta 105.44
_cell_angle_gamma 90.00
_symmetry_space_group_name_H-M 'C 1 2/m 1'
_symmetry_Int_Tables_number 12
_symmetry_space_group_name_Hall '-C 2y'
loop_
_atom_site_label
_atom_site_type_symbol
_atom_site_fract_x
_atom_site_fract_y
_atom_site_fract_z
_atom_site_occupancy
Pr1 Pr 0.0000 0.0000 0.0000 1
Pr2 Pr 0.1425 0.0000 0.6416 1
Tl1 Tl 0.0000 0.5000 0.5000 1
Tl2 Tl 0.1274 0.5000 0.1269 1
Hg1 Hg 0.2443 0.0000 0.2435 1
```

***

Which is most stable? The ranking, best first, is 2, 1.

***

1.
This record from Alexandria via LeMat-Bulk describes a relaxed structure of Pr2TlHg2. The functional is PBE-GGA.

Geometry as CIF:
```
data_Pr2TlHg2
_chemical_formula_sum 'Pr2 Tl1 Hg2'
_cell_length_a 5.2683
_cell_length_b 5.2683
_cell_length_c 6.7471
_cell_angle_alpha 90.00
_cell_angle_beta 90.00
_cell_angle_gamma 120.00
_symmetry_space_group_name_H-M 'P -3 m 1'
_symmetry_Int_Tables_number 164
_symmetry_space_group_name_Hall '-P 3 2"'
loop_
_atom_site_label
_atom_site_type_symbol
_atom_site_fract_x
_atom_site_fract_y
_atom_site_fract_z
_atom_site_occupancy
Pr1 Pr 0.3333 0.6667 0.2021 1
Tl1 Tl 0.0000 0.0000 0.0000 1
Hg1 Hg 0.3333 0.6667 0.6750 1
```

***

2.
This record from Alexandria via LeMat-Bulk describes a relaxed structure of Pr2TlHg2. The functional is PBE-GGA.

Geometry as CIF:
```
data_Pr2TlHg2
_chemical_formula_sum 'Pr4 Tl2 Hg4'
_cell_length_a 9.2907
_cell_length_b 5.4336
_cell_length_c 6.3505
_cell_angle_alpha 90.00
_cell_angle_beta 107.37
_cell_angle_gamma 90.00
_symmetry_space_group_name_H-M 'C 1 2/m 1'
_symmetry_Int_Tables_number 12
_symmetry_space_group_name_Hall '-C 2y'
loop_
_atom_site_label
_atom_site_type_symbol
_atom_site_fract_x
_atom_site_fract_y
_atom_site_fract_z
_atom_site_occupancy
Pr1 Pr 0.2138 0.0000 0.2493 1
Tl1 Tl 0.0000 0.5000 0.0000 1
Hg1 Hg 0.1176 0.0000 0.7174 1
```

***

Which is most stable? The ranking, best first, is 2, 1.

***

1.
This record from Alexandria via LeMat-Bulk describes a relaxed structure of PrTl2Hg5. The functional is PBE-GGA.

Geometry as CIF:
```
~~~

2013-11-27, 06:22 PM
Thinking about it there are 8 levels of intelligent Item and a total of 10 levels of magic item.for a total of 18 levels. the item would be level 3 at the moment.